Saturday, December 17, 2005

[These data records were left in the article by mistake]
'''
Material: PuHfSe
Method: DFT, PBE-GGA
State: relaxed

Lattice parameters (Å, degrees): 3.566 4.689 4.689 120.00 90.00 90.00
Site moments in Bohr magnetons follow the coordinates.
Fractional coordinates of all 3 atoms:
Hf 0.167 0.000 0.000  0.04
Se 0.167 0.333 0.667  -0.04
Pu 0.667 0.667 0.333  5.24

* V: 67.91 Å³/f.u.
* formation energy from raw total energies: -0.36 eV/atom
* total magnetic moment: 5.44 Bohr magnetons per cell
* offset from the most stable computed form: 0.84 eV per formula unit
* total DFT energy (no corrections): -28.85 eV for the cell shown


# 1
DFT (PBE) results for a geometry-optimized AcLaNi structure.

## Properties
Crystal system = orthorhombic
Polymorph energy (0 for the lowest one) = 0.000 eV/atom
ΔH_f (0 K) = -0.21 eV per atom
E = -5.15 eV per atom
Fermi-level density of states = 1.0818 states/eV per atom

Lattice parameters (Å, degrees): 7.5891 7.5891 7.5891 149.99 122.10 66.59
Sites, in units of the cell vectors:
Ac1 0.2238 0.2238 0.0000
Ac2 0.7762 0.7762 0.0000
La1 0.2625 0.5000 0.7625
La2 0.7375 0.5000 0.2375
Ni1 0.3964 0.8964 0.5000
Ni2 0.6036 0.1036 0.5000

***

# 2
DFT (PBE) results for a geometry-optimized MgBe2Re2 structure.

## Properties
Crystal system = tetragonal
Polymorph energy (0 for the lowest one) = 0.243 eV/atom
ΔH_f (0 K) = 0.29 eV per atom
E = -6.50 eV per atom
Fermi-level density of states = 0.7147 states/eV per atom

Lattice parameters (Å, degrees): 7.2468 7.2468 2.6103 90.00 90.00 90.00
Sites, in units of the cell vectors:
Mg1 0.0000 0.0000 0.0000
Mg2 0.5000 0.5000 0.0000
Be1 0.1738 0.3262 0.5000
Be2 0.3262 0.8262 0.5000
Be3 0.6738 0.1738 0.5000
Be4 0.8262 0.6738 0.5000
Re1 0.1224 0.6224 0.0000
Re2 0.3776 0.1224 0.0000
Re3 0.6224 0.8776 0.0000
Re4 0.8776 0.3776 0.0000

***

# 3
DFT (PBE) results for a geometry-optimized Ni2AsBr2 structure.

## Properties
Crystal system = tetragonal
Polymorph energy (0 for the lowest one) = 0.231 eV/atom
E = -3.21 eV per atom
Fermi-level density of states = 0.9016 states/eV per atom
Formation energy from raw total energies = 16.25 kcal/mol of atoms

Lattice parameters (Å, degrees): 5.9657 5.9657 5.9657 137.53 137.53 61.62
Sites, in units of the cell vectors:
Ni1 0.1167 0.1167 0.0000
Ni2 0.8833 0.8833 0.0000
As1 0.5000 0.5000 0.0000
Br1 0.2500 0.7500 0.5000
Br2 0.7500 0.2500 0.5000

***

# 4
DFT (PBE) results for a geometry-optimized Pm2Al4CuPd3 structure.

## Properties
Crystal system = tetragonal
ΔH_f (0 K) = -0.75 eV per atom
E = -5.16 eV per atom
Fermi-level density of states = 0.6995 states/eV per atom

Lattice parameters (Å, degrees): 4.3910 4.3910 9.9028 90.00 90.00 90.00
Sites, in units of the cell vectors:
Pm1 0.0000 0.5000 0.2448
Pm2 0.5000 0.0000 0.7552
Al1 0.0000 0.0000 0.5000
Al2 0.0000 0.5000 0.8793
Al3 0.5000 0.0000 0.1207
Al4 0.5000 0.5000 0.5000
Cu1 0.5000 0.5000 0.0000
Pd1 0.0000 0.0000 0.0000
Pd2 0.0000 0.5000 0.6303
Pd3 0.5000 0.0000 0.3697

***

# 5
DFT (PBE) results for a geometry-optimized TlSi2Pb structure.

## Properties
'''

Things to do when you are a sick girl

Yesterday I woke up late and decided it was a good day to stay in bed and try to get over this cold. I forced fluids and did Zicam and EmergenCee and even hot chicken soup. I strategically placed my wastebin within range and practiced wet tissue rim shots most of the day.

After Oprah at nine, I turned off the TV and downloaded about 40 cds onto my laptop and then transferred the music to my mp3 player. While I was doing that, I read all my fave blogs and updated my sidebar, adding a new button from that hilarious must-read Crazy Aunt Purl.

As I did that it occurred to me that I could have a button too! I dinked around with some of my images and made this button:

and the next one and the next one.
I copied the html from my other downloaded buttons and had a space all prepared to insert it and got the dreaded box with an x in it.
I don't know what I am doing wrong and have the feeling it has something to do with the size of the image, pixel wise. I saved it as both a gif and a jpeg and still NO GOTS.
Perhaps it is my mucus-filled brain, or the vagaries of html (similar, but not the same) that have prevented me from getting this to work. I did however get the x box to link to my blog, but like what good is that?
I know you tech-smarties out there have the SIMPLE answer and can bring me around to success.
Please email me privately with your fabulous solutions.

Now, why do I want a button? It's strictly an ego thing. I have a big one. Or haven't you noticed?
Plus these gals that I have buttons for have one so why can't I have one? I mean, rilly?

Part B: Things to do when you are a sick girl
Dave is not what you'd call a great nurse. He had forgotten our little talk from way long ago last year when I was sick before. I recovered and told him he was a rather inattentive nurse while I was hacking up my lungs, never once asking me if I would like a wee cuppa. He vowed to do better in the future.
So here I am spewing germs and he remains downstairs at his computer ignoring me. But I have a plan. I will not get outta bed for meals and eventually it will dawn on him that I am not feeding him. Ha! It worked. At 2 he opened the door and said he was thinking about going for a spin, and getting some crunchy bread.
A sign.
I swooped in for the kill.
"Do you wanna cook that pot roast in the refrigerator before it starts turning green?"
"Yes. Remember we were watching that guy Dave Lieberman on Food TV make those short ribs for his friends? He browned them and added onion and garlic and beef broth and put it all in the oven for a couple of hours, and it was glorious. You could do that."
"You mean braise it?"
"Yes." I snorted, coughed and blew.
In a few minutes he came back and asked if I meant he should keep the meat whole or cut it up to brown it? Since he is a master meatcutter (32 miserable years) I said, he could make stew the same way, so he cut it up. He grayed it and brought it in to show me, and I sent it back to so he could brown it more.
Eventually I could smell it cooking and it was HEAVENLY. I was so impressed I clambered outta bed and had a look see. He had even sliced a whole onion and added it to the stew. He LOATHES onions, but understood their import in a stew. There were even two bay leaves. I was even more impressed! I punged in a fork and the meat melted apart and tasted divine!
I left him alone while he made mashed potatoes and then I got up and tossed some greens in a bowl for salad and we ate a lovely meal.
I gently asked him what his next masterpiece would be and he chose a roast pork dinner.

Sometimes it pays to stand back and not be so almighty efficient.


  1. Good strategy!! I'm very impressed!

    Get well soon...

  2. Email Purl and ask her and while you are at it, ask her how she puts the white boxes inside her photos.

(Attached: records of crystals)
=====
No. 1
A plane-wave DFT calculation with PBE was carried out for an optimized crystal structure of HoEr4Tm3. Values from VASP.

Quantum ESPRESSO input file:
```
&SYSTEM
  ibrav = 0, nat = 16, ntyp = 3
/
ATOMIC_SPECIES
Er 167.26 Er.upf
Tm 168.93 Tm.upf
Ho 164.93 Ho.upf
CELL_PARAMETERS angstrom
-0.0979 -4.6703 -4.0500
1.7462 -4.5650 5.2220
-10.7145 -1.6395 2.1496
ATOMIC_POSITIONS angstrom
Er 0.1554 -3.5980 -1.9695
Er -3.8444 -5.5033 5.0434
Tm -4.7159 -3.2244 2.4374
Tm -1.6839 -7.8440 -0.1743
Er -5.2015 -4.4149 -0.8908
Tm -7.4276 -5.1903 1.6233
Ho 0.6408 -2.4035 1.3608
Er -6.5609 -7.4705 4.2327
Tm -7.0411 -8.6638 0.9005
Er 1.5127 -4.6793 3.9709
Er -1.1929 -6.6491 3.1558
Tm -2.0703 -4.3705 0.5485
Ho -4.3297 -6.6974 1.7135
Tm 1.0270 -5.8760 0.6373
Er -2.5613 -5.5646 -2.7809
Er -7.9078 -6.3827 -1.7082
```

Values from the calculation:
**D(E_F)**: 1.625 states/eV/atom
**Energy above the most stable polymorph in this dataset**: 0 meV per atom
**ΔH_f (0 K)**: -0.07 kcal/mol of atoms
**Symmetry**: Pmn2_1 (31)

No. 2
A plane-wave DFT calculation with PBE was carried out for an optimized crystal structure of TaTl2PO6. Values from VASP.

Quantum ESPRESSO input file:
```
&SYSTEM
  ibrav = 0, nat = 10, ntyp = 4
/
ATOMIC_SPECIES
O 16.00 O.upf
Tl 204.38 Tl.upf
P 30.97 P.upf
Ta 180.95 Ta.upf
CELL_PARAMETERS angstrom
-0.2243 -3.9691 -3.2596
3.2390 -2.4006 2.6763
-1.5995 -6.4787 3.9865
ATOMIC_POSITIONS angstrom
O -0.4390 -5.5774 2.7029
O 2.0686 -3.2199 1.2304
O -0.6535 -9.6284 2.1729
Tl -0.4613 -6.9264 0.3790
O -0.3816 -8.0787 3.8351
P 1.5073 -3.1848 -0.2916
O 1.7967 -4.7696 -0.4319
O 1.8541 -7.2709 0.7003
Ta 0.0000 0.0000 0.0000
Tl 1.8765 -5.9219 3.0242
```

Values from the calculation:
**D(E_F)**: 0.000 states/eV/atom
**Calculated total energy**: -68.1 eV/cell
**Symmetry**: P-1 (2)

No. 3
A plane-wave DFT calculation with PBE was carried out for an optimized crystal structure of UTeN. Values from VASP.

Quantum ESPRESSO input file:
```
&SYSTEM
  ibrav = 0, nat = 6, ntyp = 3
/
ATOMIC_SPECIES
N 14.01 N.upf
Te 127.60 Te.upf
U 238.03 U.upf
CELL_PARAMETERS angstrom
-3.4657 0.5828 1.5987
-0.1374 -3.7114 1.0551
3.7038 1.9439 7.3203
ATOMIC_POSITIONS angstrom
N -1.8015 -1.5643 1.3269
Te -0.4691 0.9547 3.2971
U 1.4600 1.9672 7.1099
N 0.0000 0.0000 0.0000
Te 2.3713 -0.5751 5.3501
U 0.4422 -1.5875 1.5373
```

Values from the calculation:
**D(E_F)**: 1.486 states/eV/atom
**Energy above the most stable polymorph in this dataset**: 0 meV per atom
**Symmetry**: P4/nmm (129)

No. 4
A plane-wave DFT calculation with PBE was carried out for an optimized crystal structure of CrGeMo3. Values from VASP.

Quantum ESPRESSO input file:
```
&SYSTEM
  ibrav = 0, nat = 5, ntyp = 3
/
ATOMIC_SPECIES
Ge 72.64 Ge.upf
Mo 95.94 Mo.upf
Cr 52.00 Cr.upf
CELL_PARAMETERS angstrom
-1.1291 2.0011 3.8519
0.0274 -3.9767 2.0740
4.3406 0.5456 0.9889
ATOMIC_POSITIONS angstrom
Ge 1.6194 -0.7150 3.4574
Mo 0.0137 -1.9883 1.0370
Mo -0.5646 1.0006 1.9259
Cr 0.0000 0.0000 0.0000
Mo 2.1703 0.2728 0.4945
```
=====
(End of the records of crystals)

    And, you brilliant one, how did you get that fibermania printed (badly)on your photo?

  3. Anonymous12:53 PM

    "Snort"....all Mike would have done is gone to Hickory (Corners) and eaten at the cafe. After 22+ years I am happy if he just doesn't ask ME to cook when I am down for the count.

    Now that he's retired maybe you can get Dave to take a cooking class....then he will have plenty of reason to show off by fixing you dinner. Maybe you could get him that for Christmas???? Hmmm.....just thought of what my best friend can get HER DH.....

    teri...ever devious

  4. Anonymous5:23 PM

    Men are the masters at planned incompetence to get us to do things. I applaud you in turning the tables and glad you had a yummy stew. Hope you are feeling better!


So nice of you to drop by. I love your comments, and if you would really like a reply, please email me at fibermania at g mail dot com